Excerpt =
~~~
Entry 1:
A geometry-optimized Si3Mo5 structure, computed with PBE.

It has space group P6_3/mcm (No. 193), with a = 7.3200 Å, b = 7.3200 Å, c = 5.0677 Å, α = 90.00°, β = 90.00° and γ = 120.00°. Symmetry generates all atoms from Si at (0.0000, 0.3929, 0.2500), Mo at (0.0000, 0.2398, 0.7500) and Mo at (0.3333, 0.6667, 0.0000).

As for the volume: 14.70 Å³/atom. The value obtained for the energy above the most stable polymorph in this dataset is 94.5 meV/atom. The uncorrected energy comes out at -9.119 eV per atom. The formation energy is -0.31 eV per atom. Its total moment is 0.0 μB per formula unit.

=====

Entry 2:
A geometry-optimized Si3Mo5 structure, computed with PBE.

It has space group I4/mcm (No. 140), with a = 9.692 Å, b = 9.692 Å, c = 4.936 Å, α = 90.00°, β = 90.00° and γ = 90.00°. Symmetry generates all atoms from Si at (0.000, 0.000, 0.250), Si at (0.167, 0.333, 0.000), Mo at (0.000, 0.500, 0.250) and Mo at (0.077, 0.224, 0.500).

As for the volume: 14.49 Å³/atom. The value obtained for the energy above the most stable polymorph in this dataset is 0.0 meV/atom. The uncorrected energy comes out at -9.214 eV per atom. The formation energy is -0.40 eV per atom.

=====

Entry 3:
A geometry-optimized Ti2Si6Mo structure, computed with PBE.

It has space group C222 (No. 21), with a = 4.713 Å, b = 8.181 Å, c = 6.512 Å, α = 90.00°, β = 90.00° and γ = 90.00°. Symmetry generates all atoms from Ti at (0.250, 0.250, 0.167), Si at (0.000, 0.334, 0.500), Si at (0.236, 0.420, 0.833) and Mo at (0.000, 0.000, 0.500).

As for the volume: 13.95 Å³/atom. The uncorrected energy comes out at -7.118 eV per atom. The formation energy is -0.54 eV per atom.

=====

Entry 4:
A geometry-optimized TiSi6Mo2 structure, computed with PBE.

It has space group C222 (No. 21), with a = 4.712 Å, b = 8.090 Å, c = 6.487 Å, α = 90.00°, β = 90.00° and γ = 90.00°. Symmetry generates all atoms from Ti at (0.000, 0.000, 0.000), Si at (0.000, 0.342, 0.000), Si at (0.242, 0.418, 0.331) and Mo at (0.250, 0.250, 0.668).

As for the volume: 13.74 Å³/atom. The uncorrected energy comes out at -7.409 eV per atom. The formation energy is -0.50 eV per atom. Its total moment is 0.0 μB per formula unit.

=====

Entry 5:
A geometry-optimized U2Si4Mo3 structure, computed with PBE.

It has space group P2_1/c (No. 14), with a = 6.896 Å, b = 6.905 Å, c = 6.744 Å, α = 90.00°, β = 109.83° and γ = 90.00°. Symmetry generates all atoms from U at (0.186, 0.164, 0.057), Si at (0.091, 0.544, 0.872), Si at (0.498, 0.633, 0.633), Mo at (0.244, 0.664, 0.254) and Mo at (0.500, 0.000, 0.500).

As for the volume: 16.78 Å³/atom. The uncorrected energy comes out at -8.970 eV per atom. The formation energy is -0.43 eV per atom.

=====

Entry 6:
A geometry-optimized VSi4Mo structure, computed with PBE.

It has space group P2 (No. 3), with a = 4.614 Å, b = 12.894 Å, c = 4.620 Å, α = 90.00°, β = 119.92° and γ = 90.00°. Symmetry generates all atoms from V at (0.000, 0.000, 0.000), V at (0.000, 0.498, 0.000), V at (0.500, 0.332, 0.500), Si at (0.172, 0.834, 0.838), Si at (0.177, 0.334, 0.842), Si at (0.334, 0.166, 0.163), Si at (0.335, 0.662, 0.162), Si at (0.340, 0.496, 0.676), Si at (0.341, 0.000, 0.680), Mo at (0.000, 0.167, 0.500), Mo at (0.000, 0.664, 0.500) and Mo at (0.500, 0.832, 0.500).

As for the volume: 13.23 Å³/atom. The uncorrected energy comes out at -7.417 eV per atom. The formation energy is -0.48 eV per atom. Its total moment is 0.0 μB per formula unit.

=====

Entry 7:
A geometry-optimized Y2Si4Mo3 structure, computed with PBE.

It has space group P2_1/c (No. 14), with a = 6.872 Å, b = 6.938 Å, c = 6.760 Å, α = 90.00°, β = 108.88° and γ = 90.00°. Symmetry generates all atoms from Y at (0.191, 0.170, 0.062), Si at (0.090, 0.545, 0.869), Si at (0.495, 0.631, 0.628), Mo at (0.250, 0.663, 0.249) and Mo at (0.500, 0.000, 0.500).

As for the volume: 16.94 Å³/atom. The uncorrected energy comes out at -8.137 eV per atom. The formation energy is -0.67 eV per atom.

=====

Entry 8:
~~~
What to do =
Count the lines earlier on that contain the word "structure" and give the number alone.
Completed =
7